Business Hints for Men and Women - Part 12

## Here the piece breaks off for crystal structures
~~~
! GGA+U Li8MnO5F, optimized geometry; values from VASP
! Formation energy   -2.21 eV per atom
! Energy above the most stable polymorph in this dataset   0.000 eV/atom
! Calculated density   2.57 g/cm3
! Calculated volume   9.02 Å³ per atom
! Total DFT energy (no corrections)   -5.243 eV per atom
&SYSTEM
  ibrav = 0, nat = 60, ntyp = 4
/
ATOMIC_SPECIES
Li 6.94 Li.upf
Mn 54.94 Mn.upf
O 16.00 O.upf
F 19.00 F.upf
CELL_PARAMETERS angstrom
0.9703 3.5213 3.9342
-8.3311 -10.1863 12.6313
4.6465 -3.6930 -0.9170
ATOMIC_POSITIONS crystal
Li 0.5050 0.0289 0.3329
Li 0.7550 0.2789 0.0829
Li 0.0050 0.5289 0.8328
Li 0.2549 0.7789 0.5828
Li 0.3611 0.1318 0.5201
Li 0.6111 0.3818 0.2701
Li 0.8612 0.6318 0.0200
Li 0.1111 0.8818 0.7701
Li 0.9500 0.0598 0.5874
Li 0.2000 0.3098 0.3374
Li 0.4500 0.5598 0.0873
Li 0.7000 0.8098 0.8373
Li 0.4366 0.0743 0.9371
Li 0.6866 0.3243 0.6871
Li 0.9366 0.5743 0.4371
Li 0.1866 0.8244 0.1871
Li 0.8289 0.1663 0.7998
Li 0.0789 0.4162 0.5498
Li 0.3289 0.6663 0.2998
Li 0.5789 0.9162 0.0498
Li 0.2857 0.1915 0.1563
Li 0.5357 0.4415 0.9063
Li 0.7857 0.6915 0.6563
Li 0.0357 0.9414 0.4063
Li 0.9112 0.1172 0.2518
Li 0.1612 0.3672 0.0018
Li 0.4111 0.6172 0.7518
Li 0.6612 0.8672 0.5018
Li 0.7426 0.2248 0.4273
Li 0.9925 0.4748 0.1772
Li 0.2425 0.7248 0.9272
Li 0.4926 0.9748 0.6773
Mn 0.4730 0.5054 0.4734
Mn 0.7232 0.7553 0.2236
Mn 0.9733 0.0053 0.9737
Mn 0.2233 0.2553 0.7237
O 0.6478 0.0666 0.6930
O 0.8978 0.3166 0.4430
O 0.1478 0.5667 0.1930
O 0.3978 0.8166 0.9429
O 0.2029 0.0905 0.1491
O 0.4530 0.3405 0.8991
O 0.7029 0.5905 0.6491
O 0.9529 0.8404 0.3990
O 0.7951 0.0159 0.2158
O 0.0450 0.2659 0.9658
O 0.2951 0.5159 0.7158
O 0.5451 0.7659 0.4658
O 0.4429 0.2342 0.5222
O 0.6929 0.4842 0.2720
O 0.9429 0.7342 0.0220
O 0.1930 0.9842 0.7722
O 0.0446 0.1603 0.5916
O 0.2945 0.4103 0.3416
O 0.5445 0.6602 0.0915
O 0.7946 0.9103 0.8416
F 0.6225 0.1826 0.0924
F 0.8725 0.4326 0.8423
F 0.1225 0.6826 0.5924
F 0.3725 0.9325 0.3423

=====

(1)
First-principles (GGA+U) data for a relaxed structure of Mg4Ni5Te3O18, as listed in Materials Project.

a = 8.660 Å, b = 8.660 Å, c = 10.317 Å
α = 85.20°, β = 85.20°, γ = 61.75°
Sites, in units of the cell vectors:
Mg  0.059  0.341  0.578
Mg  0.341  0.059  0.078
Mg  0.941  0.659  0.422
Mg  0.361  0.676  0.962
Mg  0.676  0.361  0.462
Mg  0.324  0.639  0.538
Mg  0.639  0.324  0.038
Mg  0.659  0.941  0.922
O  0.254  0.554  0.698
O  0.569  0.242  0.703
O  0.925  0.931  0.666
O  0.278  0.228  0.663
O  0.409  0.109  0.894
O  0.095  0.764  0.434
O  0.425  0.407  0.443
O  0.912  0.240  0.061
O  0.760  0.088  0.439
O  0.591  0.891  0.106
O  0.446  0.746  0.802
O  0.772  0.722  0.837
O  0.431  0.758  0.297
O  0.236  0.905  0.066
O  0.931  0.925  0.166
O  0.905  0.236  0.566
O  0.746  0.446  0.302
O  0.895  0.557  0.118
O  0.758  0.431  0.797
O  0.088  0.760  0.939
O  0.105  0.443  0.882
O  0.575  0.593  0.557
O  0.764  0.095  0.934
O  0.069  0.075  0.834
O  0.407  0.425  0.943
O  0.240  0.912  0.561
O  0.109  0.409  0.394
~~~

Part 12

There is a form of authorization for another to draw, printed on the deposit book. This must be copied and its directions complied with.

Most banks will not allow depositors to draw out less than a fixed sum, say $5.00.

This saves trouble, and prevents thoughtless depositors from going to the bank every time they want a dollar.

Before a depositor can draw a large sum from a savings bank he may be compelled, under the law, to give from one week to six weeks'

notice of his intention.

This provision may not prevent a run on the bank, but it gives the managers time to provide for it.

Read the rules in the deposit book.


How can a bank that does not discount notes or deal in loans and commercial paper earn money? How can it pay interest?

While they may be individually small, the aggregate of all the deposits in a savings bank may, and often do, amount to many millions.

_What comes next are crystal structures, not part of the text_
........
(1)
VASP calculation (PBE) on Na3P4O12 after structural relaxation.

Values from the calculation:
Symmetry: No. 14

Unit cell a=10.093 b=8.845 c=14.532 alpha=52.48 beta=90.00 gamma=90.00
Fractional coordinates of all 76 atoms:
O 0.868 0.079 0.915
O 0.656 0.502 0.138
O 0.625 0.015 0.885
O 0.634 0.125 0.618
O 0.814 0.695 0.172
O 0.686 0.339 0.808
O 0.631 0.555 0.524
O 0.125 0.985 0.615
O 0.131 0.445 0.976
O 0.644 0.704 0.916
O 0.366 0.875 0.382
O 0.328 0.639 0.967
O 0.832 0.092 0.522
O 0.314 0.305 0.328
O 0.686 0.695 0.672
O 0.391 0.488 0.696
O 0.168 0.908 0.478
O 0.814 0.339 0.308
O 0.156 0.498 0.362
O 0.844 0.502 0.638
O 0.132 0.921 0.085
O 0.344 0.498 0.862
O 0.632 0.079 0.415
O 0.314 0.661 0.192
O 0.132 0.973 0.286
O 0.186 0.661 0.692
O 0.356 0.296 0.084
O 0.866 0.125 0.118
O 0.109 0.488 0.196
O 0.368 0.921 0.585
O 0.672 0.361 0.033
O 0.868 0.027 0.714
O 0.375 0.985 0.115
O 0.332 0.908 0.978
O 0.186 0.305 0.828
O 0.869 0.555 0.024
O 0.668 0.092 0.022
O 0.856 0.704 0.416
O 0.134 0.875 0.882
O 0.369 0.445 0.476
O 0.875 0.015 0.385
O 0.144 0.296 0.584
O 0.891 0.512 0.804
O 0.609 0.512 0.304
O 0.368 0.973 0.786
O 0.172 0.639 0.467
O 0.828 0.361 0.533
O 0.632 0.027 0.214
Na 0.983 0.763 0.040
Na 0.514 0.733 0.321
Na 0.468 0.185 0.253
Na 0.014 0.267 0.179
Na 0.532 0.815 0.747
Na 0.483 0.237 0.460
Na 0.517 0.763 0.540
Na 0.032 0.185 0.753
Na 0.017 0.237 0.960
Na 0.986 0.733 0.821
Na 0.968 0.815 0.247
Na 0.486 0.267 0.679
P 0.721 0.530 0.230
P 0.778 0.120 0.409
P 0.220 0.457 0.479
P 0.222 0.880 0.591
P 0.280 0.457 0.979
P 0.722 0.120 0.909
P 0.282 0.863 0.891
P 0.718 0.137 0.109
P 0.779 0.530 0.730
P 0.278 0.880 0.091
P 0.782 0.137 0.609
P 0.279 0.470 0.770
P 0.780 0.543 0.521
P 0.221 0.470 0.270
P 0.720 0.543 0.021
P 0.218 0.863 0.391


(2)
VASP calculation (PBE) on NaPO3 after structural relaxation.

Values from the calculation:
Symmetry: No. 62

Unit cell a=7.807 b=8.031 c=13.420 alpha=90.00 beta=90.00 gamma=90.00
Fractional coordinates of all 60 atoms:
Na 0.183 0.994 0.573
Na 0.317 0.494 0.073
Na 0.463 0.250 0.723
Na 0.183 0.506 0.573
Na 0.963 0.250 0.777
Na 0.817 0.494 0.427
Na 0.317 0.006 0.073
Na 0.817 0.006 0.427
Na 0.683 0.994 0.927
Na 0.683 0.506 0.927
Na 0.537 0.750 0.277
Na 0.037 0.750 0.223
O 0.605 0.463 0.098
O 0.274 0.750 0.777
O 0.219 0.056 0.748
O 0.719 0.444 0.752
O 0.573 0.593 0.610
O 0.137 0.750 0.052
O 0.395 0.537 0.902
O 0.427 0.093 0.390
O 0.073 0.593 0.890
O 0.927 0.093 0.110
O 0.105 0.463 0.402
O 0.605 0.037 0.098
O 0.927 0.407 0.110
O 0.427 0.407 0.390
O 0.073 0.907 0.890
O 0.333 0.750 0.528
O 0.363 0.250 0.552
O 0.167 0.250 0.028
O 0.833 0.750 0.972
........
_Here the text continues_

This money is not allowed to lie idle.

Under the skilled direction of the bank officers, the money, instead of lying idle in the vaults, is invested in many ways, but always in accordance with the laws of the state under which the bank is chartered.

Much of the money is invested in mortgages on real estate, never on personal property.

National bank stocks, sound railroad bonds, and other forms of reliable interest security are fields for the investment of savings bank funds.

Savings banks are subject to the periodic inspection of state officers appointed for the purpose.

The failure of a savings bank through bad investments or the dishonesty of officials is very rare.

Avoid all banks that promise more than the regular rate of interest.

Private banks may be, and usually are, honestly conducted, but to be safe, deposit only with a bank that is regularly chartered and is subject to the inspection of the law.

The savings bank is the best for the wage earner.



The promissory note is a most useful kind of commercial paper, and it is in general use in business.

If a man has not sufficient ready cash to pay for the real estate he is about to purchase, he makes up the difference by a note, which note is secured by a mortgage on the property.

Remember the mortgage must always be regarded as security. The note represents the debt.

Often wholesalers take a note as part or even full payment for a bill of goods to a retailer.

If the wholesaler needs money, he endorses these notes and putting them in his bank draws against them, less the discount he has to pay for the accommodation.

As has been shown, an account may be transferred and sold, but a note is more convenient for that purpose.


As with a check the maker of a note is known as a "drawer," the person in whose favor it is drawn is the "payee."

Notes may be written in pencil, but it is better and safer to write with ink on good paper.

Supposing you buy a team of horses, or it may be a bill of goods, from John Brown, for $350.

Now you have only $100 in cash. What are you to do?

Mr. Brown, knowing you to be reliable, says: "That's all right, friend Jones. You pay me the $100 cash for which I will give you a receipt, then I will take your note for six months, payable at my bank."

You agree to this; pay out the money, make and deliver the note and take the property in question, which is now yours as much as it had been his before the transfer.

The following would be a legal form in which to make the note:

$250. Summit, N. J.

October 10, 1910.

Six months after date I promise to pay to the order of John Brown..............

Two hundred and fifty ...... dollars,....

At the Lincoln National Bank of Summit .......... Value received.

George Jones.

No. 1. Due April 14, 1911.

Now, if before the expiration of this note, you want to make a payment on it of, say, $75, you take the money to Mr. Brown, who endorses on the back of the note, "Received on the within note $75, January 3rd.," if that be the date, and signs, "John Brown."

It may be well to remember that while a running account may be collected at any time, the law cannot prevent the maker of a promissory note from selling all his belongings and leaving the country before the note is due.


Notes may be "time" notes, that is where there is a specified time for payment, or "demand" notes. The latter are collectable on presentation.

With the time notes "three days grace" are allowed after the expiration of the date for payment. No such favor is allowed in the case of demand notes.

These grace days do not seem businesslike. Why not add them to the date in the note? Well, it is a custom, quite as old as the greater part of our laws, and so it must be observed.

Under the law a note is payable at the home or business place of the drawer, unless otherwise specified.


A note secured by a mortgage has its payment guaranteed.